
Mailbag: Adopting pets better than buying them

Lynn McCluney (“Animals need our help,” Sounding Off, July 29) is right on the mark, especially with her suggestion to adopt pets from various animal shelters instead of buying them from pet stores, and having mandatory neutering and spaying.

The manner in which we treat animals is a reflection on our society. It is a shame that thousands of pet animals are either abandoned or sent to shelters by owners who did not have a commitment to take care of them, or education on what responsibilities to expect.

San Francisco is considering a ban on sale of pets from pet stores. Horror stories of animal cruelty at pet breeding places for dogs, cats, horses, etc. are often in the news. A status quo on this “life and death” matter is unacceptable.


Maneck Bhujwala

Huntington Beach


Keep an eye on mobile homes issue

Ideologues often do not understand or even care about the human costs and impacts of doctrinaire positions based upon their ideologies. On the national level, for example, many “gun nuts” don’t care about firearms abuses under their warped interpretation of the Second Amendment. They put ideology over practicality and reason.

Want to own machine guns or buy “cop killer bullets”? Go right ahead, they would say. Your right is sacrosanct in our view. Forget protecting the public. No government intervention allowed.

There is an issue brewing in Huntington Beach that has the ideologues rattling their sabers. It is the ideology of “private property rights” and its application to the subdivision of mobile home parks (“Council approves park subdivision,” May 20).

(Next to the piece, the page also holds data records)
~~~
No. 1
Computed powder diffractogram
Compound: K3SnHF8
Radiation: Cu Kα, 1.54184 Å
Structure: a cell relaxed with GGA-PBE

Largest 12 diffraction maxima, in order of falling intensity, 2θ = 5–70°:
26.2°, 3.400 Å, I 100
28.1°, 3.173 Å, I 95
25.6°, 3.477 Å, I 93
16.9°, 5.236 Å, I 91
21.1°, 4.209 Å, I 83
27.0°, 3.300 Å, I 80
19.6°, 4.526 Å, I 54
23.3°, 3.821 Å, I 50
17.5°, 5.055 Å, I 49
43.0°, 2.105 Å, I 46
17.8°, 4.979 Å, I 43
28.6°, 3.124 Å, I 43

Cell and atoms:
```
data_K3SnHF8
_chemical_formula_sum 'K12 Sn4 H4 F32'
_cell_length_a 9.059
_cell_length_b 14.264
_cell_length_c 6.960
_cell_angle_alpha 90.00
_cell_angle_beta 92.40
_cell_angle_gamma 90.00
_symmetry_space_group_name_H-M 'C 1 2/c 1'
_symmetry_Int_Tables_number 15
loop_
_symmetry_equiv_pos_as_xyz
'x,y,z'
'-x,-y,-z'
'-x,y,-z+1/2'
'x,-y,z+1/2'
'x+1/2,y+1/2,z'
'-x+1/2,-y+1/2,-z'
'-x+1/2,y+1/2,-z+1/2'
'x+1/2,-y+1/2,z+1/2'
loop_
_atom_site_label
_atom_site_fract_x
_atom_site_fract_y
_atom_site_fract_z
K1 0.000 0.155 0.250
K2 0.224 0.401 0.221
Sn1 0.000 0.322 0.750
H1 0.000 0.000 0.000
F1 0.000 0.182 0.750
F2 0.000 0.463 0.750
F3 0.035 0.320 0.465
F4 0.122 0.019 0.485
F5 0.218 0.319 0.813
```

=====

No. 2
Computed powder diffractogram
Compound: K2TiHF7
Radiation: Cu Kα, 1.54184 Å
Structure: a cell relaxed with GGA-PBE

Largest 12 diffraction maxima, in order of falling intensity, 2θ = 5–70°:
41.6°, 2.169 Å, I 100
26.7°, 3.343 Å, I 83
9.8°, 9.047 Å, I 40
20.5°, 4.337 Å, I 39
28.9°, 3.086 Å, I 35
17.4°, 5.099 Å, I 31
30.3°, 2.954 Å, I 30
23.8°, 3.736 Å, I 26
35.2°, 2.549 Å, I 21
29.3°, 3.050 Å, I 20
42.6°, 2.124 Å, I 20
49.9°, 1.827 Å, I 19

Cell and atoms:
```
data_K2TiHF7
_chemical_formula_sum 'K4 Ti2 H2 F14'
_cell_length_a 6.189
_cell_length_b 6.173
_cell_length_c 9.186
_cell_angle_alpha 90.00
_cell_angle_beta 99.97
_cell_angle_gamma 90.00
_symmetry_space_group_name_H-M 'P 1 21/m 1'
_symmetry_Int_Tables_number 11
loop_
_symmetry_equiv_pos_as_xyz
'x,y,z'
'-x,-y,-z'
'-x,y+1/2,-z'
'x,-y+1/2,z'
loop_
_atom_site_label
_atom_site_fract_x
_atom_site_fract_y
_atom_site_fract_z
K1 0.181 0.250 0.173
K2 0.243 0.750 0.496
Ti1 0.303 0.250 0.714
H1 0.344 0.750 0.033
F1 0.091 0.035 0.721
F2 0.184 0.750 0.023
F3 0.218 0.250 0.506
F4 0.406 0.250 0.924
F5 0.487 0.533 0.308
```

=====

No. 3
Computed powder diffractogram
Compound: Li2MgZr2H4O4F12
Radiation: Cu Kα, 1.54184 Å
Structure: a cell relaxed with GGA-PBE

Largest 12 diffraction maxima, in order of falling intensity, 2θ = 5–70°:
13.5°, 6.574 Å, I 100
14.9°, 5.950 Å, I 95
16.7°, 5.294 Å, I 33
26.9°, 3.309 Å, I 24
27.1°, 3.287 Å, I 21
30.0°, 2.975 Å, I 17
45.8°, 1.983 Å, I 16
28.0°, 3.191 Å, I 15
26.7°, 3.345 Å, I 15
47.2°, 1.925 Å, I 14
28.1°, 3.177 Å, I 14
41.2°, 2.192 Å, I 14

Cell and atoms:
```
data_Li2MgZr2H4O4F12
_chemical_formula_sum 'Li2 Mg1 Zr2 H4 O4 F12'
_cell_length_a 6.908
_cell_length_b 6.932
_cell_length_c 7.537
_cell_angle_alpha 64.40
_cell_angle_beta 89.85
_cell_angle_gamma 73.85
_symmetry_space_group_name_H-M 'P -1'
~~~

It holds that park owners should have the unfettered right to do anything they want with their property regardless of how it affects those owning residences on it. Under this subdivision ploy to get around current city ordinances protecting this vulnerable population (largely seniors on fixed incomes, many of whom have been in their homes for decades), manufactured housing owners would be forced to purchase the land their homes are on for hundreds of thousands of dollars per space. This would naturally bankrupt most homeowners and force them to either move or stay at the mercy of the park owners. This would kill resale value and make the manufactured homes themselves virtually worthless.

== Records of crystals from another source follow ==
........
Structure and computed XRD peak list of Cs2Mn3VF12 (a cell relaxed with PBE+U; Cu Kα, 1.54184 Å).
Peak positions follow from Bragg's law for the DFT cell and can differ from measured ones.

Structural model:
Cell: 7.703 7.703 7.703 Å, 58.72 58.72 58.72°
Sites, in units of the cell vectors:
Cs  0.125  0.125  0.125
Cs  0.875  0.875  0.875
Mn  0.000  0.500  0.500
Mn  0.500  0.000  0.500
Mn  0.500  0.500  0.000
V  0.500  0.500  0.500
F  0.182  0.182  0.566
F  0.182  0.566  0.182
F  0.190  0.568  0.568
F  0.432  0.432  0.810
F  0.432  0.810  0.432
F  0.434  0.818  0.818
F  0.566  0.182  0.182
F  0.568  0.190  0.568
F  0.568  0.568  0.190
F  0.810  0.432  0.432
F  0.818  0.434  0.818
F  0.818  0.818  0.434

Main lines, by intensity (10 to 90 degrees two-theta):
| d_spacing | I/Imax |
| --- | --- |
| 3.246 | 100.0 |
| 3.292 | 53.5 |
| 3.224 | 51.3 |
| 3.850 | 40.6 |
| 1.925 | 40.2 |
| 3.777 | 37.2 |
| 1.888 | 35.4 |
| 2.062 | 33.3 |

=====

[1]
Computed powder XRD pattern of CePu2 for a wavelength of 1.5418 Å, from the GGA-PBE geometry in Alexandria.
Kinematic intensities with the Lorentz-polarization factor, no thermal factor.

Main lines, in order of falling intensity (10° ≤ 2θ ≤ 90°):
2theta  d (Å)  I (rel.)
35.41  2.535  100.0
14.49  6.114  76.6
39.36  2.289  68.7
60.20  1.537  40.1
29.22  3.057  33.6
49.76  1.832  31.6
68.81  1.364  29.8
87.51  1.115  29.8

Crystal structure
```
CePu2
1.0
3.2376 0.0000 0.0000
0.0000 3.2376 0.0000
0.0000 0.0000 12.2271
Ce Pu
2 4
Cartesian
0.0000 0.0000 0.0000
1.6188 1.6188 6.1136
0.0000 0.0000 3.5265
0.0000 0.0000 8.7006
1.6188 1.6188 2.5870
1.6188 1.6188 9.6401
```

***

[2]
Computed powder XRD pattern of Ce4PuRh4 for a wavelength of 1.5418 Å, from the GGA-PBE geometry in Alexandria.
Kinematic intensities with the Lorentz-polarization factor, no thermal factor.

Main lines, in order of falling intensity (10° ≤ 2θ ≤ 90°):
2theta  d (Å)  I (rel.)
31.64  2.828  100.0
45.51  1.993  73.0
31.85  2.810  49.3
56.48  1.629  38.2
45.35  2.000  36.7
27.37  3.258  34.1
83.90  1.153  24.5
18.65  4.758  20.8

Crystal structure
```
Ce4PuRh4
1.0
-4.4712 4.4712 2.8101
4.4712 -4.4712 2.8101
4.4712 4.4712 -2.8101
Ce Pu Rh
4 1 4
Cartesian
2.7037 0.8751 0.0000
3.5961 -1.7675 2.8101
0.8751 6.2387 0.0000
1.7675 3.5961 2.8101
0.0000 0.0000 2.8101
5.3976 1.8428 0.0000
1.8428 3.5449 0.0000
2.6284 0.9263 2.8101
-0.9263 2.6284 2.8101
```

***

[3]
Computed powder XRD pattern of CePu4Rh4 for a wavelength of 1.5418 Å, from the GGA-PBE geometry in Alexandria.
Kinematic intensities with the Lorentz-polarization factor, no thermal factor.

Main lines, in order of falling intensity (10° ≤ 2θ ≤ 90°):
2theta  d (Å)  I (rel.)
32.30  2.771  100.0
34.17  2.624  89.2
41.41  2.180  82.9
35.72  2.514  78.1
37.90  2.374  77.6
29.10  3.069  64.0
37.21  2.416  45.2
43.35  2.087  34.2

Crystal structure
```
CePu4Rh4
1.0
8.7635 0.0000 0.0000
0.0000 8.7635 0.0000
0.0000 0.0000 4.9328
Ce Pu Rh
2 8 8
Cartesian
2.1909 2.1909 1.2332
6.5726 6.5726 3.6996
........

The ideologues are lining up behind this “sacrosanct” right of park owners to do whatever they choose, regardless of the human costs and impacts this doctrinaire position would cause. We can see this in the positions of various City Council candidates. In 2004, the Huntington Beach City Council enacted an ordinance protecting the residential rights of manufactured housing homeowners in the event that park owners converted their property to other uses.

Local government should consider similar protections against this subdivision scheme that victimizes an important and vulnerable segment of our society. The alternative (doing nothing and allowing any abuses to take place) would ruin the lives of thousands of our citizens and enrich only a few, some of whom don’t even live in the city.

The choice is clear. Do we put profits over people, or the other way around? Will the ideologues win, or will we emphasize practicality and reason in coming up with solutions to this property rights issue? We will need to listen carefully to City Council candidates in this campaign and hold them accountable for their views on this subject.

Tim Geddes

Huntington Beach
